Applying to the Schatzlab
The Schatzlab is a highly interactive research group known for outstanding
research in computational biology. We are developing the computational models
and systems needed for understanding the causes of diseases, for developing
better foods and biofuels, and for unlocking the secrets of the processes of
life. This work depends on having a team of highly motivated postdocs, graduate
students, undergraduate students, and bioinformatics engineers to explore all the different facets of
these challenges. We will work together to establish and execute a premier
research program in computational biology through the entire research life
cycle: selecting research topics, establishing milestones, developing software
and methods, analyzing data, writing papers & presenting your work. As you
[Inserted here: records of molecules]
/*
Density functional theory data (ωB97M-V with the def2-TZVPD basis set) for an isolated ion of composition C30H34Cl2F2N3O9 and charge +1 in a non-equilibrium geometry.

The LUMO energy comes out at -4.32 eV. The calculation puts the HOMO-LUMO gap at 7.6 eV. Its net charge is +1.

Positions of all 80 atoms, in Å:
C (2.512, 1.990, 3.839)
C (2.625, 2.145, 2.659)
C (2.903, 2.325, 1.248)
C (2.165, 1.377, 0.323)
C (2.947, 0.448, -0.248)
O (4.267, 0.342, 0.051)
N (4.438, -0.267, 1.409)
O (5.481, -0.042, 1.810)
N (2.504, -0.458, -1.176)
C (3.559, -1.355, -1.697)
C (3.899, -2.475, -0.657)
C (4.217, -3.830, -1.332)
O (3.307, -4.867, -0.996)
C (3.402, -5.277, 0.319)
C (2.297, -4.895, 1.257)
O (4.327, -5.937, 0.688)
C (1.222, -0.503, -1.540)
C (0.924, -1.475, -2.656)
C (1.052, -2.977, -2.320)
F (0.050, -3.660, -2.985)
C (0.286, 0.385, -0.916)
C (-1.122, 0.348, -1.208)
O (-1.677, -0.659, -1.925)
C (-1.783, -1.884, -1.144)
C (-2.879, -1.949, -0.123)
O (-2.724, -0.926, 0.846)
C (-3.557, -1.165, 1.970)
C (-2.855, -1.923, 3.085)
C (-1.975, 1.318, -0.766)
C (-3.450, 1.486, -1.118)
Cl (-4.368, 0.154, -1.867)
C (-3.581, 2.656, -2.154)
C (-4.865, 3.477, -1.963)
C (-1.454, 2.277, 0.102)
C (-2.403, 3.307, 0.681)
O (-2.965, 3.097, 1.720)
N (-2.672, 4.523, -0.009)
C (-1.588, 5.142, -0.621)
O (-0.844, 4.691, -1.424)
F (-1.464, 6.397, -0.210)
C (-0.156, 2.327, 0.518)
C (0.112, 3.416, 1.529)
C (-0.361, 2.948, 2.911)
O (-0.763, 1.867, 3.156)
Cl (-0.237, 4.213, 4.149)
C (0.757, 1.382, -0.004)
H (2.121, 1.967, 4.824)
H (2.730, 3.342, 0.905)
H (3.975, 2.231, 1.154)
H (3.281, -1.866, -2.605)
H (4.450, -0.796, -1.939)
H (3.099, -2.575, 0.065)
H (4.828, -2.169, -0.192)
H (4.275, -3.734, -2.412)
H (5.213, -4.142, -1.022)
H (2.030, -5.730, 1.890)
H (2.676, -4.102, 1.902)
H (1.433, -4.484, 0.745)
H (0.012, -1.272, -3.193)
H (1.694, -1.289, -3.403)
H (1.979, -3.396, -2.684)
H (0.915, -3.182, -1.264)
H (-0.859, -1.982, -0.586)
H (-1.912, -2.690, -1.848)
H (-2.749, -2.913, 0.389)
H (-3.881, -1.981, -0.531)
H (-4.455, -1.719, 1.695)
H (-3.913, -0.224, 2.382)
H (-3.628, -2.239, 3.785)
H (-2.156, -1.312, 3.645)
H (-2.406, -2.846, 2.728)
H (-4.041, 1.773, -0.260)
H (-2.681, 3.253, -2.203)
H (-3.668, 2.178, -3.125)
H (-4.666, 4.490, -2.301)
H (-5.087, 3.571, -0.903)
H (-5.699, 3.050, -2.502)
H (-3.076, 5.174, 0.664)
H (-0.464, 4.317, 1.343)
H (1.115, 3.787, 1.647)

=====

Density functional theory data (ωB97M-V with the def2-TZVPD basis set) for C30H34CoGeNS4 as an isolated structure in a non-equilibrium geometry.

The LUMO energy (spin up / spin down) comes out at -13.01 / -15.47 eV. The calculation puts the HOMO-LUMO gap (spin up / spin down) at 6.3 / 3.4 eV. Its expectation value of S² is 6.08. Its multiplicity is 5. Its net charge is +4.

Positions of all 71 atoms, in Å:
Co (-0.562, 1.214, 0.008)
C (-0.563, 3.963, 1.697)
C (-1.915, 3.418, 2.106)
S (-2.138, 1.618, 1.755)
C (-3.775, 1.633, 0.903)
C (-3.750, 1.232, -0.565)
S (-2.322, 1.812, -1.561)
C (-2.446, 3.641, -1.377)
*/
mature in the lab, you will be expected to take on more independence &
responsibility so that you will be well prepared for your entire career path.
-- begin --
1.
Here is 8 unconnected molecules or ions with the total composition C42H77ClN14 at a distorted geometry from OMol25. Energies are from ωB97M-V/def2-TZVPD.

```
134
Properties=species:S:1:pos:R:3
C 11.19634 -11.80819 22.94232
C 9.82448 -11.84132 22.25228
N 9.06897 -13.02710 22.71028
C 8.47483 -13.14132 23.93429
C 7.96038 -14.41391 23.99439
N 8.34758 -15.06377 22.87359
C 8.96096 -14.18439 22.04178
C 8.09572 -16.47067 22.51376
H 11.16942 -11.69332 24.02698
H 11.74532 -10.91392 22.64158
H 11.79794 -12.66844 22.64945
H 9.90700 -11.88635 21.16872
H 9.22174 -10.96551 22.48552
H 8.41503 -12.32419 24.63402
H 7.42482 -14.89175 24.79649
H 9.37986 -14.34542 21.06275
H 7.52594 -16.96485 23.29553
H 9.06406 -16.95254 22.39352
H 7.56925 -16.54587 21.56282
C 0.81131 -21.13314 23.74808
C 2.16801 -21.74152 23.50888
N 3.05019 -21.72788 24.70899
C 2.92782 -22.64391 25.73292
C 3.86406 -22.27749 26.67457
N 4.56268 -21.23134 26.15178
C 4.01470 -20.85419 24.98569
C 5.71310 -20.61379 26.79544
H 0.78014 -20.06512 23.52197
H 0.47340 -21.35460 24.75863
H 0.04071 -21.48281 23.05803
H 2.76472 -21.20580 22.76471
H 2.20093 -22.75890 23.11932
H 2.16371 -23.40242 25.69828
H 4.11796 -22.62703 27.66126
H 4.33418 -19.99895 24.41775
H 5.51023 -19.55669 26.99158
H 6.56447 -20.53302 26.10097
H 5.94458 -21.07678 27.74796
C 6.77822 -19.83024 20.02822
C 5.89792 -19.57353 21.24494
N 4.64856 -18.86453 20.91189
C 3.76220 -19.32906 19.95119
C 2.75289 -18.40051 19.89558
N 3.02268 -17.44037 20.82430
C 4.17557 -17.75019 21.45423
C 2.30854 -16.18046 21.01653
H 6.94084 -19.00070 19.33136
H 6.40812 -20.57193 19.31389
H 7.79305 -20.10170 20.32306
H 6.50469 -18.92455 21.87610
H 5.75271 -20.50421 21.79000
H 3.93079 -20.26801 19.45480
H 1.87280 -18.34816 19.27338
H 4.66124 -17.08287 22.14464
H 2.61105 -15.73883 21.95987
H 1.23892 -16.39011 21.05007
H 2.46041 -15.55438 20.13860
C 11.41664 -26.99844 20.62183
C 10.40364 -26.55870 19.55425
N 9.82859 -25.23976 19.88390
C 9.08101 -24.49752 19.00778
C 8.47049 -23.50627 19.68755
N 8.76326 -23.69355 21.01473
C 9.57368 -24.75647 21.12287
C 8.10107 -22.95117 22.09057
H 10.99091 -27.10654 21.61909
H 12.18116 -26.22085 20.68921
H 11.93284 -27.91178 20.33913
H 9.59294 -27.20788 19.22438
H 11.00890 -26.48102 18.64657
H 8.92677 -24.71135 17.96109
H 7.70034 -22.82259 19.37778
H 9.79727 -25.25600 22.05048
H 7.38876 -23.60823 22.58381
H 7.65883 -22.04235 21.69699
H 8.83149 -22.56695 22.80241
C 13.22571 -20.05087 22.47717
C 11.72928 -20.11075 22.17803
N 11.54602 -20.21404 20.72463
C 10.93981 -19.28894 19.90615
C 11.02078 -19.77422 18.63721
N 11.69754 -20.97015 18.67352
C 11.99681 -21.20353 19.96210
C 11.84946 -21.95873 17.61344
H 13.72395 -20.92992 22.06450
H 13.50095 -20.08248 23.53109
H 13.69184 -19.16144 22.05325
H 11.15959 -19.27198 22.57290
H 11.28819 -20.97736 22.67187
H 10.57664 -18.35684 20.29772
H 10.66979 -19.36211 17.70466
H 12.33641 -22.18013 20.27082
H 11.04827 -21.80892 16.89551
H 11.81648 -22.96021 18.03463
H 12.82328 -21.89071 17.12881
-- stop --
Computational Post-Doctoral Researchers
Applications are invited for a 2-3 year computational postdoctoral research
position in the Schatz laboratory at Johns Hopkins University.
The researcher will develop novel methods for large-scale DNA-seq,
RNA-seq, and other genomics data related to human and/or plant genetics.
Potential project include such as developing methods for discovering and characterizing
somatic mutations related to cancer, or for assembling
and analyzing large complex plant genomes.
Ideal applicants will have:
- A Ph.D. degree in Computer Science, Applied Mathematics, or related fields with a dissertation related to Computational Biology.
- Strong programming and analytical skills, including experience with next-generation sequencing data.
- Published at least two first author papers in English and demonstrated written communication skills in English.
To apply, please email me a letter of interest and current CV at mschatz @ cs.jhu.edu
-- Unrelated to this piece: calculated molecules --
[1]
Computed, not measured: a cluster of 2 separate species, H4N2O2Si in total at a distorted geometry, with ωB97M-V/def2-TZVPD.

Last column: Mulliken charge in e.
Element x y z (Å)
N 1.3767 -0.9055 0.7658  -0.542
N -1.8514 -0.4481 0.0893  0.220
O -0.8952 -0.6875 -0.5867  -0.226
O -2.0261 0.9291 0.2914  -0.383
Si 1.5294 0.2229 -0.3870  0.485
H 1.3403 -1.8984 0.5859  0.224
H -2.7251 1.0281 0.9558  0.397
H 1.7608 0.1772 -1.8249  -0.085
H 1.4908 1.5822 0.1104  -0.091

SMILES ... N=[SiH2].O=NO
Spin multiplicity ... 1
LUMO energy (spin up / spin down) ... -0.2 / -0.2 eV

[2]
Computed, not measured: the ion H4N2O3P with charge -1 at a distorted geometry, with ωB97M-V/def2-TZVPD.

Last column: Mulliken charge in e.
Element x y z (Å)
N -0.6651 1.3848 -0.6242  -0.672
N 0.2152 -0.8191 0.6333  -0.457
O -1.8254 -0.9017 -1.0068  -0.731
O 0.5600 -0.3691 -2.0612  -0.776
O 1.3795 -1.6586 0.6824  -0.415
P -0.5106 -0.2613 -1.0160  0.940
H 0.1103 1.8516 -1.0051  0.259
H -0.6535 1.4830 0.3782  0.295
H -0.5949 -1.2138 1.0986  0.239
H 1.5889 -1.8414 -0.2653  0.317

SMILES ... N[P@@](=O)([O-])NO
Spin multiplicity ... 1
Charge ... -1
LUMO energy ... 4.4 eV

[3]
Computed, not measured: an isolated molecule of H4N2O3S3 at a distorted geometry, with ωB97M-V/def2-TZVPD.

Last column: Mulliken charge in e.
Element x y z (Å)
N -0.4985 -1.2376 -1.2222  -0.471
N -0.0088 1.5059 -0.7311  -0.372
O -0.8249 -1.9998 1.0773  -0.469
O 1.2264 2.1584 1.3445  -0.536
O -0.7287 0.5688 1.4408  -0.660
S 0.2781 -2.0581 -0.1594  0.401
S 0.4452 1.0774 0.8002  1.005
S 1.7280 -0.5077 0.5379  -0.141
H -0.2974 -1.5206 -2.1629  0.228
H -1.0001 -1.0369 1.4299  0.517
H -0.9581 1.3306 -0.8949  0.274
H 0.6388 1.7196 -1.4601  0.223

Spin multiplicity ... 1
LUMO energy ... -0.3 eV

[4]
Computed, not measured: a cluster of 2 separate species, H4N3P in total at a distorted geometry, with ωB97M-V/def2-TZVPD.

Last column: Löwdin spin population.
Element x y z (Å)
N 1.2973 1.1539 0.7140  0.711
N 1.5847 0.1533 0.2988  0.436
N -1.5778 0.2779 -0.2438  0.006
P 2.4277 -0.9151 -0.5034  0.760
H -1.8312 1.0268 -0.9323  0.000
H -2.5451 -0.1782 0.1080  0.000
H 1.7717 -2.0420 -0.1233  0.085
H -1.1274 0.5234 0.6819  0.002

Spin multiplicity ... 3
LUMO energy (spin up / spin down) ... 1.2 / -2.0 eV
Expectation value of S² ... 2.014

[5]
Computed, not measured: a cluster of 2 separate species, H4N4O2 in total at a distorted geometry, with ωB97M-V/def2-TZVPD.

Last column: Mulliken charge in e.
Element x y z (Å)
N 0.9567 0.7701 -0.6515  0.222
N 1.8137 1.3845 -0.0372  -0.464
N -1.3184 0.2257 -0.8449  0.368
N -0.1985 0.4498 -0.2813  -0.139
O -0.2534 -1.6681 1.1967  -0.687
O -1.7289 0.8813 -1.8620  -0.550
H 0.2387 -0.7848 1.2294  0.380
H 2.6991 1.2337 -0.4352  0.263
H -1.7706 -0.5808 -0.5094  0.271
H -0.4384 -1.9116 2.1954  0.337

SMILES ... [H]/N=N/N=[NH+]\[O-].O
Spin multiplicity ... 1
LUMO energy (spin up / spin down) ... -0.9 / -0.8 eV

[6]
Graduate Students
Graduate students interested in computational biology are encouraged to apply to
either the Department of Computer Science or
the Department of Biology at
Johns Hopkins University.
This pair of programs offers the greatest depth and breath on topics to establish
a strong foundation for your thesis research. More information on the programs is
available here.
All graduate students must have strong programming and analytical skills, along
with excellent communication abilities.
Undergraduate Students
Undergraduate students are encouraged to apply to the NSF-sponsored
Undergraduate Research Program
at Cold Spring Harbor Laboratory (CSHL), a ten week paid research experience in
Bioinformatics, Genetics & Genomics, Cellular and Molecular Biology, Plant Biology,
Neuroscience, and Cancer Biology. Approximately 25 students a year are selected
from around the world to work side-by-side with CSHL Investigators and gain
hands-on experience. In the past few years, my students have developed novel
computational and mathematical methods for analyzing, plant, animal, and human genomes,
several of which have lead to significant publications.
The Schatzlab is housed in the top floor of Malone Building in the Computer Science
Department on the Homewood campus of Johns Hopkins University. We work very
closely with other research groups within Computer Science, as well as groups
within Biology, Biostatistics, Biomolecular Engineering, Medicine and Oncology.
Schatzlab members have access to considerable computational resources, including
the 20,000-core cluster at the Maryland Advanced Research Computing Center.
The Schatzlab has access to over 1M core hours / year and over 100 TB of shared disk space on the system
as well as a dedicated high-memory server with 1TB of RAM, 144 cores, and 168TB of local disk.
The computational development works side-by-side with our experimentalist collaborators to probe deeply into a variety of
biological systems and diseases. We make extensive use of all major sequencing platforms
including Illumina, PacBio, Oxford Nanopore, 10X Genomics, and others.

Malone Hall at JHU

JHU Homewood Campus Map

Map to JHU